Entries:
Entry 1:
A 2-piece molecular cluster, C7H17N2O2P overall in a non-equilibrium geometry, computed with wB97M-V/def2-TZVPD.

Computed properties:
Relative energy (zero: lowest compared OMol25 entry of this formula, charge and spin) in kcal/mol: 91.4
Orbital gap (spin up / spin down) in eV: 6.611 / 7.717

Geometry as XYZ:
```
29
Properties=species:S:1:pos:R:3:forces:R:3
C 2.092 -1.195 -0.146 1.7 -0.7 -0.6
C 0.837 -2.054 -0.348 1.0 3.6 -0.6
C 1.974 0.260 -0.499 0.6 1.0 -0.1
C -0.340 -1.300 0.256 -1.0 -0.9 -0.5
C 0.711 0.935 0.115 1.5 0.8 1.1
C 0.665 2.406 -0.385 -2.2 0.3 2.1
C 0.915 0.998 1.602 -0.4 -0.3 3.0
N -0.252 -0.011 -0.328 -2.7 2.1 0.0
N -3.241 -0.288 -1.482 1.8 1.0 0.2
O -3.250 -1.105 0.981 1.2 1.7 0.5
O -1.888 0.888 0.550 1.5 -0.1 -0.8
P -3.316 0.381 0.205 0.3 -1.6 -1.4
H 2.371 -1.214 0.872 0.7 -0.5 1.2
H 2.949 -1.552 -0.792 -0.8 -0.1 0.9
H 0.694 -1.955 -1.401 -0.4 -1.1 -1.0
H 0.914 -3.001 0.065 0.2 -1.9 0.4
H 2.935 0.894 -0.357 -1.6 -1.2 0.2
H 1.779 0.297 -1.531 0.0 0.2 -1.8
H -1.236 -1.763 -0.276 0.8 0.5 1.7
H -0.298 -1.337 1.366 -0.6 0.0 -0.7
H 1.601 2.872 -0.385 1.9 0.0 -0.2
H 0.140 3.120 0.343 0.1 -1.5 -0.8
H 0.210 2.571 -1.318 -0.6 -0.2 -1.4
H -0.006 1.407 2.226 2.1 -0.3 -1.5
H 1.926 1.429 1.846 -1.3 0.5 -0.2
H 1.090 0.010 2.065 -0.4 0.0 -0.4
H -2.175 -0.350 -1.792 -3.0 0.5 0.6
H -3.830 0.267 -2.147 1.1 -0.6 0.8
H -3.972 -1.610 0.697 -1.7 -1.4 -0.6
```
Positions in Å, forces in eV/Å.



Entry 2:
A 2-piece molecular cluster, C7H17N2O3 overall in a non-equilibrium geometry, computed with wB97M-V/def2-TZVPD.

Computed properties:
Relative energy (zero: lowest compared OMol25 entry of this formula, charge and spin) in kcal/mol: 14.0
Total charge: +1
Orbital gap in eV: 9.531

Geometry as XYZ:
```
29
Properties=species:S:1:pos:R:3:forces:R:3
C 0.674 -1.912 3.037 1.0 -0.3 0.0
C 1.576 -1.647 2.130 0.4 -0.5 0.1
C -3.517 -1.179 -0.510 0.1 3.1 0.4
C 0.842 1.514 -0.419 0.2 -3.3 -2.4
C -2.617 -0.138 -1.270 -0.3 -2.3 2.7
C -0.423 -0.446 -0.257 -0.6 0.6 0.2
C 2.250 1.895 -0.065 0.0 -1.1 -2.8
N 0.525 0.346 0.432 0.4 1.4 -0.5
N 3.181 0.696 -0.273 -1.7 -2.5 -1.1
O 2.376 -1.418 1.306 -0.2 -0.5 0.9
O 2.792 2.855 -0.873 0.2 2.0 1.8
O -1.591 0.294 -0.341 -0.6 0.5 -1.2
H 0.767 -2.500 3.934 0.8 0.0 0.0
H -0.329 -1.740 2.829 -1.6 0.7 -0.7
H -2.896 -1.832 0.021 0.9 -0.9 1.2
H -4.253 -0.620 0.186 0.9 -1.4 -1.4
H -3.836 -1.741 -1.326 -2.0 -1.1 -0.9
H 0.094 2.232 -0.373 -0.8 2.1 0.5
H 0.688 1.143 -1.564 0.9 0.8 2.4
H -3.266 0.691 -1.341 -0.1 1.2 -1.2
H -2.289 -0.692 -2.176 0.4 1.2 0.3
H -0.060 -0.725 -1.218 0.4 -0.2 -1.1
H -0.493 -1.319 0.301 -0.8 -2.0 1.1
H 2.222 1.989 0.978 0.7 1.4 1.5
H 3.948 0.677 0.403 -0.5 -0.5 0.4
H 3.680 0.730 -1.185 -0.7 0.1 0.5
H 0.098 0.655 1.320 0.3 -0.2 -0.5
H 2.481 -0.195 -0.272 2.2 2.0 0.8
H 2.985 2.506 -1.729 -0.2 -0.1 -1.0
```
Positions in Å, forces in eV/Å.



Entry 3:
An isolated ion of composition C7H17N2OS2 and charge +1 in a non-equilibrium geometry, computed with wB97M-V/def2-TZVPD.

Computed properties:
SMILES: C[NH+](C)CCC/C=N/OC(S)S
Relative energy (zero: lowest compared OMol25 entry of this formula, charge and spin) in kcal/mol: 10.4
Total charge: +1
Orbital gap in eV: 9.936

Geometry as XYZ:
```
29
Properties=species:S:1:pos:R:3:forces:R:3
C 0.672 1.686 -1.135 3.3 0.3 -1.8
N 1.138 0.377 -0.688 0.7 -2.6 -0.1
C 1.745 -0.603 -1.792 -4.3 2.2 2.0
C 2.048 0.597 0.418 -0.1 -0.9 2.4
C 1.199 0.858 1.730 1.8 0.0 0.5
C 0.745 -0.469 2.427 -0.8 1.9 -0.8
C -0.588 -0.937 1.900 0.3 -1.3 -0.1
N -1.055 -0.527 0.797 -0.8 -0.4 -0.3
O -2.281 -1.124 0.421 0.3 2.1 -1.8
C -2.912 -0.216 -0.773 0.9 -2.2 1.3
S -2.109 -0.617 -2.456 -1.1 -0.4 2.4
S -4.681 -0.513 -0.581 -0.1 1.8 0.2
H -0.311 1.806 -0.968 -3.6 0.3 0.3
H 1.206 2.496 -0.612 -0.2 -0.5 -0.2
H 0.942 1.726 -2.203 -0.5 0.4 0.4
H 0.398 -0.185 -0.146 -0.3 0.9 -1.6
H 0.869 -0.960 -2.306 0.0 -0.1 -0.5
H 2.436 -0.113 -2.353 1.9 1.4 -1.6
H 2.120 -1.304 -1.174 1.6 -2.7 1.4
H 2.768 -0.215 0.617 -0.8 -0.3 -0.2
H 2.694 1.367 0.141 0.8 1.7 -0.1
H 1.875 1.528 2.312 -0.6 -0.9 0.2

Activity:
It remains to write out the rows earlier on from the first line to the one with "2.065 -0.4" without additions.

Worked solution:
Entry 1:
A 2-piece molecular cluster, C7H17N2O2P overall in a non-equilibrium geometry, computed with wB97M-V/def2-TZVPD.

Computed properties:
Relative energy (zero: lowest compared OMol25 entry of this formula, charge and spin) in kcal/mol: 91.4
Orbital gap (spin up / spin down) in eV: 6.611 / 7.717

Geometry as XYZ:
```
29
Properties=species:S:1:pos:R:3:forces:R:3
C 2.092 -1.195 -0.146 1.7 -0.7 -0.6
C 0.837 -2.054 -0.348 1.0 3.6 -0.6
C 1.974 0.260 -0.499 0.6 1.0 -0.1
C -0.340 -1.300 0.256 -1.0 -0.9 -0.5
C 0.711 0.935 0.115 1.5 0.8 1.1
C 0.665 2.406 -0.385 -2.2 0.3 2.1
C 0.915 0.998 1.602 -0.4 -0.3 3.0
N -0.252 -0.011 -0.328 -2.7 2.1 0.0
N -3.241 -0.288 -1.482 1.8 1.0 0.2
O -3.250 -1.105 0.981 1.2 1.7 0.5
O -1.888 0.888 0.550 1.5 -0.1 -0.8
P -3.316 0.381 0.205 0.3 -1.6 -1.4
H 2.371 -1.214 0.872 0.7 -0.5 1.2
H 2.949 -1.552 -0.792 -0.8 -0.1 0.9
H 0.694 -1.955 -1.401 -0.4 -1.1 -1.0
H 0.914 -3.001 0.065 0.2 -1.9 0.4
H 2.935 0.894 -0.357 -1.6 -1.2 0.2
H 1.779 0.297 -1.531 0.0 0.2 -1.8
H -1.236 -1.763 -0.276 0.8 0.5 1.7
H -0.298 -1.337 1.366 -0.6 0.0 -0.7
H 1.601 2.872 -0.385 1.9 0.0 -0.2
H 0.140 3.120 0.343 0.1 -1.5 -0.8
H 0.210 2.571 -1.318 -0.6 -0.2 -1.4
H -0.006 1.407 2.226 2.1 -0.3 -1.5
H 1.926 1.429 1.846 -1.3 0.5 -0.2
H 1.090 0.010 2.065 -0.4 0.0 -0.4